........
(1)
For K2Na9Cd4, a DFT-relaxed cell (GGA-PBE, Alexandria) gives the simulated XRD peak list in this record (λ = 1.5418 Å (Cu Kα)).
Kinematic intensities with the Lorentz-polarization factor, no thermal factor.

Peak list (10 most intense, 10 to 90 degrees two-theta, by angle)
18.2°, intensity 34
18.5°, intensity 27
19.1°, intensity 36
23.1°, intensity 81
29.5°, intensity 66
32.3°, intensity 100
37.4°, intensity 63
44.4°, intensity 21
56.0°, intensity 20
61.0°, intensity 21

Crystal structure
```
data_K2Na9Cd4
_space_group_name_H-M_alt 'P 1'
_space_group_IT_number 1
_cell_length_a 5.5373
_cell_length_b 5.5373
_cell_length_c 19.4739
_cell_angle_alpha 90.00
_cell_angle_beta 90.00
_cell_angle_gamma 120.00
loop_
_space_group_symop_operation_xyz
'x,y,z'
loop_
_atom_site_label
_atom_site_type_symbol
_atom_site_fract_x
_atom_site_fract_y
_atom_site_fract_z
K1 K 0.3333 0.6667 0.2661
K2 K 0.6667 0.3333 0.7339
Na1 Na 0.0000 0.0000 0.0000
Na2 Na 0.0000 0.0000 0.1684
Na3 Na 0.0000 0.0000 0.3979
Na4 Na 0.0000 0.0000 0.6021
Na5 Na 0.0000 0.0000 0.8316
Na6 Na 0.3333 0.6667 0.0625
Na7 Na 0.3333 0.6667 0.4607
Na8 Na 0.6667 0.3333 0.5393
Na9 Na 0.6667 0.3333 0.9375
Cd1 Cd 0.3333 0.6667 0.6260
Cd2 Cd 0.3333 0.6667 0.8895
Cd3 Cd 0.6667 0.3333 0.1105
Cd4 Cd 0.6667 0.3333 0.3740
```

(2)
For K2Sr, a DFT-relaxed cell (GGA-PBE, Alexandria) gives the simulated XRD peak list in this record (λ = 1.5418 Å (Cu Kα)).
Kinematic intensities with the Lorentz-polarization factor, no thermal factor.

Peak list (10 most intense, 10 to 90 degrees two-theta, by angle)
11.8°, intensity 18
23.0°, intensity 36
23.7°, intensity 54
25.4°, intensity 34
25.8°, intensity 100
26.0°, intensity 64
33.4°, intensity 20
40.0°, intensity 24
42.8°, intensity 17
43.2°, intensity 23

Crystal structure
```
data_K2Sr
_space_group_name_H-M_alt 'P 1'
_space_group_IT_number 1
_cell_length_a 8.7072
_cell_length_b 8.7072
_cell_length_c 10.9732
_cell_angle_alpha 106.03
_cell_angle_beta 106.03
_cell_angle_gamma 29.55
loop_
_space_group_symop_operation_xyz
'x,y,z'
loop_
_atom_site_label
_atom_site_type_symbol
_atom_site_fract_x
_atom_site_fract_y
_atom_site_fract_z
K1 K 0.0000 0.0000 0.0000
K2 K 0.0558 0.0558 0.6097
K3 K 0.3319 0.3319 0.6660
K4 K 0.6649 0.6649 0.3261
Sr1 Sr 0.3827 0.3827 0.2652
Sr2 Sr 0.7281 0.7281 0.9544
```

~~~~~

Computed X-ray powder pattern
Compound: Tb6PmNd5
Radiation: Cu Kα
Structure: a DFT-relaxed cell (GGA-PBE, Alexandria)

Structural model:
```
data_Tb6PmNd5
_cell_length_a 9.5705
_cell_length_b 9.5705
_cell_length_c 9.5705
_cell_angle_alpha 148.93
_cell_angle_beta 115.64
_cell_angle_gamma 73.18
_space_group_name_H-M_alt 'P 1'
_space_group_IT_number 1
_space_group_name_Hall 'P 1'
loop_
_atom_site_label
_atom_site_type_symbol
_atom_site_fract_x
_atom_site_fract_y
_atom_site_fract_z
Tb1 Tb 0.0836 0.3334 0.7502
Tb2 Tb 0.2503 0.0000 0.2503
Tb3 Tb 0.4168 0.6666 0.7502
Tb4 Tb 0.5832 0.3334 0.2498
Tb5 Tb 0.7497 0.0000 0.7497
Tb6 Tb 0.9164 0.6666 0.2498
Pm1 Pm 0.5000 0.5000 0.0000
Nd1 Nd 0.0000 0.5000 0.5000
Nd2 Nd 0.1667 0.1667 0.0000
Nd3 Nd 0.3337 0.8337 0.5000
Nd4 Nd 0.6663 0.1663 0.5000
Nd5 Nd 0.8333 0.8333 0.0000
```

Most intense lines, 5° ≤ 2θ ≤ 70°, low angle first:
2θ (°)  d_spacing  intensity
30.26  2.953  1000
35.02  2.562  340
35.22  2.548  167
50.37  1.812  121
50.51  1.807  241
59.89  1.544  289
60.15  1.538  142
62.94  1.477  124

***

Computed X-ray powder pattern
Compound: Tb5PmNd4
Radiation: Cu Kα
Structure: a DFT-relaxed cell (GGA-PBE, Alexandria)

Structural model:
```
data_Tb5PmNd4
_cell_length_a 8.7952
_cell_length_b 8.7952
_cell_length_c 11.1044
_cell_angle_alpha 95.59
_cell_angle_beta 95.59
_cell_angle_gamma 23.89
_space_group_name_H-M_alt 'P 1'
_space_group_IT_number 1
_space_group_name_Hall 'P 1'
loop_
_atom_site_label
_atom_site_type_symbol
_atom_site_fract_x
_atom_site_fract_y
_atom_site_fract_z
Tb1 Tb 0.0000 0.0000 0.0000
Tb2 Tb 0.2044 0.2044 0.3684
Tb3 Tb 0.3227 0.3227 0.9371
Tb4 Tb 0.6773 0.6773 0.0629
Tb5 Tb 0.7956 0.7956 0.6316
........

Your job: return all of the contents earlier on word for word.

(1)
For K2Na9Cd4, a DFT-relaxed cell (GGA-PBE, Alexandria) gives the simulated XRD peak list in this record (λ = 1.5418 Å (Cu Kα)).
Kinematic intensities with the Lorentz-polarization factor, no thermal factor.

Peak list (10 most intense, 10 to 90 degrees two-theta, by angle)
18.2°, intensity 34
18.5°, intensity 27
19.1°, intensity 36
23.1°, intensity 81
29.5°, intensity 66
32.3°, intensity 100
37.4°, intensity 63
44.4°, intensity 21
56.0°, intensity 20
61.0°, intensity 21

Crystal structure
```
data_K2Na9Cd4
_space_group_name_H-M_alt 'P 1'
_space_group_IT_number 1
_cell_length_a 5.5373
_cell_length_b 5.5373
_cell_length_c 19.4739
_cell_angle_alpha 90.00
_cell_angle_beta 90.00
_cell_angle_gamma 120.00
loop_
_space_group_symop_operation_xyz
'x,y,z'
loop_
_atom_site_label
_atom_site_type_symbol
_atom_site_fract_x
_atom_site_fract_y
_atom_site_fract_z
K1 K 0.3333 0.6667 0.2661
K2 K 0.6667 0.3333 0.7339
Na1 Na 0.0000 0.0000 0.0000
Na2 Na 0.0000 0.0000 0.1684
Na3 Na 0.0000 0.0000 0.3979
Na4 Na 0.0000 0.0000 0.6021
Na5 Na 0.0000 0.0000 0.8316
Na6 Na 0.3333 0.6667 0.0625
Na7 Na 0.3333 0.6667 0.4607
Na8 Na 0.6667 0.3333 0.5393
Na9 Na 0.6667 0.3333 0.9375
Cd1 Cd 0.3333 0.6667 0.6260
Cd2 Cd 0.3333 0.6667 0.8895
Cd3 Cd 0.6667 0.3333 0.1105
Cd4 Cd 0.6667 0.3333 0.3740
```

(2)
For K2Sr, a DFT-relaxed cell (GGA-PBE, Alexandria) gives the simulated XRD peak list in this record (λ = 1.5418 Å (Cu Kα)).
Kinematic intensities with the Lorentz-polarization factor, no thermal factor.

Peak list (10 most intense, 10 to 90 degrees two-theta, by angle)
11.8°, intensity 18
23.0°, intensity 36
23.7°, intensity 54
25.4°, intensity 34
25.8°, intensity 100
26.0°, intensity 64
33.4°, intensity 20
40.0°, intensity 24
42.8°, intensity 17
43.2°, intensity 23

Crystal structure
```
data_K2Sr
_space_group_name_H-M_alt 'P 1'
_space_group_IT_number 1
_cell_length_a 8.7072
_cell_length_b 8.7072
_cell_length_c 10.9732
_cell_angle_alpha 106.03
_cell_angle_beta 106.03
_cell_angle_gamma 29.55
loop_
_space_group_symop_operation_xyz
'x,y,z'
loop_
_atom_site_label
_atom_site_type_symbol
_atom_site_fract_x
_atom_site_fract_y
_atom_site_fract_z
K1 K 0.0000 0.0000 0.0000
K2 K 0.0558 0.0558 0.6097
K3 K 0.3319 0.3319 0.6660
K4 K 0.6649 0.6649 0.3261
Sr1 Sr 0.3827 0.3827 0.2652
Sr2 Sr 0.7281 0.7281 0.9544
```

~~~~~

Computed X-ray powder pattern
Compound: Tb6PmNd5
Radiation: Cu Kα
Structure: a DFT-relaxed cell (GGA-PBE, Alexandria)

Structural model:
```
data_Tb6PmNd5
_cell_length_a 9.5705
_cell_length_b 9.5705
_cell_length_c 9.5705
_cell_angle_alpha 148.93
_cell_angle_beta 115.64
_cell_angle_gamma 73.18
_space_group_name_H-M_alt 'P 1'
_space_group_IT_number 1
_space_group_name_Hall 'P 1'
loop_
_atom_site_label
_atom_site_type_symbol
_atom_site_fract_x
_atom_site_fract_y
_atom_site_fract_z
Tb1 Tb 0.0836 0.3334 0.7502
Tb2 Tb 0.2503 0.0000 0.2503
Tb3 Tb 0.4168 0.6666 0.7502
Tb4 Tb 0.5832 0.3334 0.2498
Tb5 Tb 0.7497 0.0000 0.7497
Tb6 Tb 0.9164 0.6666 0.2498
Pm1 Pm 0.5000 0.5000 0.0000
Nd1 Nd 0.0000 0.5000 0.5000
Nd2 Nd 0.1667 0.1667 0.0000
Nd3 Nd 0.3337 0.8337 0.5000
Nd4 Nd 0.6663 0.1663 0.5000
Nd5 Nd 0.8333 0.8333 0.0000
```

Most intense lines, 5° ≤ 2θ ≤ 70°, low angle first:
2θ (°)  d_spacing  intensity
30.26  2.953  1000
35.02  2.562  340
35.22  2.548  167
50.37  1.812  121
50.51  1.807  241
59.89  1.544  289
60.15  1.538  142
62.94  1.477  124

***

Computed X-ray powder pattern
Compound: Tb5PmNd4
Radiation: Cu Kα
Structure: a DFT-relaxed cell (GGA-PBE, Alexandria)

Structural model:
```
data_Tb5PmNd4
_cell_length_a 8.7952
_cell_length_b 8.7952
_cell_length_c 11.1044
_cell_angle_alpha 95.59
_cell_angle_beta 95.59
_cell_angle_gamma 23.89
_space_group_name_H-M_alt 'P 1'
_space_group_IT_number 1
_space_group_name_Hall 'P 1'
loop_
_atom_site_label
_atom_site_type_symbol
_atom_site_fract_x
_atom_site_fract_y
_atom_site_fract_z
Tb1 Tb 0.0000 0.0000 0.0000
Tb2 Tb 0.2044 0.2044 0.3684
Tb3 Tb 0.3227 0.3227 0.9371
Tb4 Tb 0.6773 0.6773 0.0629
Tb5 Tb 0.7956 0.7956 0.6316